_Wanted_
Please work out how many lines underneath have the word "values" in them; a number is enough.

_Input_
~~~
# 1
First-principles (PBE) data for a relaxed Ca2MgPdC crystal, as listed in the Alexandria database.

Structure (POSCAR):
```
Ca2MgPdC
1.0
5.684 0.000 0.000
0.000 3.937 0.000
0.000 0.000 5.684
C Ca Mg Pd
1 2 1 1
direct
0.000 0.500 0.000 C
0.000 0.000 0.500 Ca
0.500 0.000 0.000 Ca
0.500 0.500 0.500 Mg
0.000 0.000 0.000 Pd
```

Calculated values
DFT formation energy = 0.334 eV per atom
Space-group type = P4/mmm (123)

# 2
First-principles (PBE) data for a relaxed CaMgRh2C crystal, as listed in the Alexandria database.

Structure (POSCAR):
```
CaMgRh2C
1.0
-0.674 2.171 3.562
0.959 -3.431 2.273
4.172 1.204 0.056
C Ca Rh Mg
1 1 2 1
direct
0.000 0.000 0.000 C
0.500 0.500 0.500 Ca
0.000 0.500 0.000 Rh
0.500 0.000 0.000 Rh
0.000 0.000 0.500 Mg
```

Calculated values
DFT formation energy = -0.098 eV per atom
Space-group type = P4/mmm (123)

# 3
First-principles (PBE) data for a relaxed CaMgRh2C crystal, as listed in the Alexandria database.

Structure (POSCAR):
```
CaMgRh2C
1.0
4.709 0.000 0.000
0.000 4.098 0.000
0.000 0.000 4.709
C Ca Rh Mg
1 1 2 1
direct
0.000 0.500 0.000 C
0.500 0.500 0.500 Ca
0.000 0.000 0.500 Rh
0.500 0.000 0.000 Rh
0.000 0.000 0.000 Mg
```

Calculated values
DFT formation energy = 1.042 eV per atom
Space-group type = P4/mmm (123)

# 4
First-principles (PBE) data for a relaxed Ca2MgCSe crystal, as listed in the Alexandria database.

Structure (POSCAR):
```
Ca2MgCSe
1.0
5.026 0.000 0.000
0.000 4.551 0.000
0.000 0.000 5.026
C Ca Mg Se
1 2 1 1
direct
0.000 0.000 0.000 C
0.000 0.000 0.500 Ca
0.500 0.000 0.000 Ca
0.500 0.500 0.500 Mg
0.000 0.500 0.000 Se
```

Calculated values
Formation energy without anion corrections = 0.17 eV/atom
Space-group type = P4/mmm (123)
~~~

_Solution_
4